Material:
/*
Structure and simulated XRD peak list of Ca5Rh2N6 (a cell relaxed with PBE; a wavelength of 1.5418 Å).
Intensities are scaled so that the largest is 100.

The 10 most intense peaks (10 to 90 degrees two-theta), low angle first:
2θ 14.5, intensity 96
2θ 16.9, intensity 67
2θ 18.0, intensity 71
2θ 20.4, intensity 97
2θ 31.7, intensity 66
2θ 32.8, intensity 98
2θ 32.9, intensity 63
2θ 33.7, intensity 92
2θ 35.2, intensity 100
2θ 47.2, intensity 63

Cell and atoms:
a = 6.0320 Å, b = 6.0320 Å, c = 12.5630 Å
α = 101.25°, β = 101.25°, γ = 65.59°
Fractional positions:
1 Ca 0.1408 0.8592 0.7500
2 Ca 0.1867 0.7034 0.9995
3 Ca 0.2147 0.4644 0.2737
4 Ca 0.2966 0.8133 0.5005
5 Ca 0.4644 0.2147 0.7737
6 Ca 0.5356 0.7853 0.2263
7 Ca 0.7034 0.1867 0.4995
8 Ca 0.7853 0.5356 0.7263
9 Ca 0.8133 0.2966 0.0005
10 Ca 0.8592 0.1408 0.2500
11 Rh 0.1922 0.3462 0.5563
12 Rh 0.3462 0.1922 0.0563
13 Rh 0.6538 0.8078 0.9437
14 Rh 0.8078 0.6538 0.4437
15 N 0.1084 0.1655 0.6447
16 N 0.1655 0.1084 0.1447
17 N 0.1707 0.2431 0.4093
18 N 0.2431 0.1707 0.9093
19 N 0.4256 0.4882 0.6285
20 N 0.4882 0.4256 0.1285
21 N 0.5118 0.5744 0.8715
22 N 0.5744 0.5118 0.3715
23 N 0.7569 0.8293 0.0907
24 N 0.8293 0.7569 0.5907
25 N 0.8345 0.8916 0.8553
26 N 0.8916 0.8345 0.3553

=====

Structure and simulated XRD peak list of Ca11Ru2N10 (a cell relaxed with PBE; a wavelength of 1.5418 Å).
Intensities are scaled so that the largest is 100.

The 10 most intense peaks (10 to 90 degrees two-theta), low angle first:
2θ 11.6, intensity 27
2θ 13.0, intensity 21
2θ 26.1, intensity 22
2θ 30.0, intensity 38
2θ 30.5, intensity 17
2θ 32.7, intensity 100
2θ 33.4, intensity 23
2θ 34.4, intensity 20
2θ 35.4, intensity 23
2θ 50.6, intensity 23

Cell and atoms:
a = 15.1921 Å, b = 15.1921 Å, c = 3.5984 Å
α = 90.00°, β = 90.00°, γ = 90.00°
Fractional positions:
1 Ca 0.0000 0.0000 0.0000
2 Ca 0.0152 0.2172 0.5000
3 Ca 0.1092 0.3903 0.0000
4 Ca 0.1097 0.6092 0.5000
5 Ca 0.1985 0.8015 0.0000
6 Ca 0.2172 0.0152 0.5000
7 Ca 0.2828 0.5152 0.0000
8 Ca 0.3015 0.3015 0.5000
9 Ca 0.3903 0.1092 0.0000
10 Ca 0.3908 0.8903 0.5000
11 Ca 0.4848 0.7172 0.0000
12 Ca 0.5000 0.5000 0.5000
13 Ca 0.5152 0.2828 0.0000
14 Ca 0.6092 0.1097 0.5000
15 Ca 0.6097 0.8908 0.0000
16 Ca 0.6985 0.6985 0.5000
17 Ca 0.7172 0.4848 0.0000
18 Ca 0.7828 0.9848 0.5000
19 Ca 0.8015 0.1985 0.0000
20 Ca 0.8903 0.3908 0.5000
21 Ca 0.8908 0.6097 0.0000
22 Ca 0.9848 0.7828 0.5000
23 Ru 0.1905 0.1905 0.0000
24 Ru 0.3095 0.6905 0.5000
25 Ru 0.6905 0.3095 0.5000
26 Ru 0.8095 0.8095 0.0000
27 N 0.0357 0.6846 0.0000
28 N 0.0737 0.9263 0.5000
29 N 0.1094 0.1094 0.0000
30 N 0.1328 0.8672 0.5000
31 N 0.1846 0.4643 0.5000
32 N 0.3154 0.9643 0.0000
33 N 0.3672 0.3672 0.0000
34 N 0.3906 0.6094 0.5000
35 N 0.4263 0.4263 0.0000
36 N 0.4643 0.1846 0.5000
37 N 0.5357 0.8154 0.5000
38 N 0.5737 0.5737 0.0000
39 N 0.6094 0.3906 0.5000
40 N 0.6328 0.6328 0.0000
41 N 0.6846 0.0357 0.0000
42 N 0.8154 0.5357 0.5000
43 N 0.8672 0.1328 0.5000
44 N 0.8906 0.8906 0.0000
45 N 0.9263 0.0737 0.5000
46 N 0.9643 0.3154 0.0000

=====

Structure and simulated XRD peak list of Ca3Ru3N5 (a cell relaxed with PBE; a wavelength of 1.5418 Å).
Intensities are scaled so that the largest is 100.

The 10 most intense peaks (10 to 90 degrees two-theta), low angle first:
2θ 13.5, intensity 51
2θ 15.8, intensity 42
2θ 20.4, intensity 63
2θ 25.0, intensity 31
2θ 32.3, intensity 71
2θ 32.7, intensity 74
2θ 32.9, intensity 84
2θ 33.9, intensity 100
2θ 41.4, intensity 46
2θ 44.1, intensity 41

Cell and atoms:
a = 5.9621 Å, b = 6.9264 Å, c = 8.3143 Å
α = 105.56°, β = 106.55°, γ = 94.96°
Fractional positions:
1 Ca 0.1444 0.1618 0.1856
2 Ca 0.1657 0.3776 0.8842
3 Ca 0.3144 0.9200 0.6177
4 Ca 0.6856 0.0800 0.3823
5 Ca 0.8343 0.6224 0.1158
6 Ca 0.8556 0.8382 0.8144
7 Ru 0.1994 0.4387 0.5601
8 Ru 0.3724 0.6408 0.2807
9 Ru 0.4211 0.8170 0.9811
10 Ru 0.5789 0.1830 0.0189
11 Ru 0.6276 0.3592 0.7193
12 Ru 0.8006 0.5613 0.4399
13 N 0.1195 0.5948 0.3885
14 N 0.1899 0.7289 0.0791
*/

Assignment:
Next, work out how many lines earlier on have the word "atoms" in them; a number is enough.

Solution:
3